**Data:**
/*
# 1
The following is a simulated XRD peak list of PrSm2YTm2. It was derived from a DFT-relaxed cell (GGA-PBE, Alexandria), using Cu Kα, 1.54184 Å.

Atomic structure:
Cell: 6.976 16.303 3.524 Å, 90.00 90.00 90.00°
Space group Pnnm (No. 58)
Inequivalent atoms, fractional coordinates:
Pr 0.000 0.000 0.000 x2
Sm 0.247 0.338 0.000 x4
Y 0.000 0.500 0.500 x2
Tm 0.248 0.154 0.500 x4

The 10 most intense peaks (10 to 80 degrees two-theta), most intense first:
- 2θ = 30.23°, I 100
- 2θ = 36.67°, I 55
- 2θ = 33.82°, I 45
- 2θ = 27.82°, I 39
- 2θ = 32.96°, I 37
- 2θ = 54.03°, I 29
- 2θ = 61.76°, I 26
- 2θ = 63.39°, I 26
- 2θ = 62.90°, I 22
- 2θ = 39.98°, I 20

# 2
The following is a simulated XRD peak list of PrSmY2Tm2. It was derived from a DFT-relaxed cell (GGA-PBE, Alexandria), using Cu Kα, 1.54184 Å.

Atomic structure:
Cell: 6.529 17.960 3.420 Å, 90.00 90.00 90.00°
Space group Pnnm (No. 58)
Inequivalent atoms, fractional coordinates:
Pr 0.000 0.000 0.000 x2
Sm 0.000 0.500 0.000 x2
Y 0.220 0.189 0.000 x4
Tm 0.218 0.352 0.500 x4

The 10 most intense peaks (10 to 80 degrees two-theta), most intense first:
- 2θ = 29.11°, I 100
- 2θ = 29.85°, I 91
- 2θ = 30.10°, I 88
- 2θ = 33.95°, I 80
- 2θ = 41.09°, I 60
- 2θ = 35.76°, I 56
- 2θ = 31.16°, I 55
- 2θ = 16.79°, I 53
- 2θ = 32.92°, I 35
- 2θ = 26.53°, I 35

# 3
The following is a simulated XRD peak list of Pr2SmY3Tm6. It was derived from a DFT-relaxed cell (GGA-PBE, Alexandria), using Cu Kα, 1.54184 Å.

Atomic structure:
Cell: 6.178 10.691 11.741 Å, 90.00 100.07 90.00°
Space group C2/m (No. 12)
Inequivalent atoms, fractional coordinates:
Pr 0.000 0.167 0.000 x4
Sm 0.000 0.500 0.000 x2
Y 0.000 0.000 0.500 x2
Y 0.000 0.333 0.500 x4
Tm 0.248 0.500 0.747 x4
Tm 0.249 0.166 0.747 x8

The 10 most intense peaks (10 to 80 degrees two-theta), most intense first:
- 2θ = 30.74°, I 100
- 2θ = 35.70°, I 67
- 2θ = 30.94°, I 33
- 2θ = 61.08°, I 28
- 2θ = 51.25°, I 24
- 2θ = 51.51°, I 23
- 2θ = 60.96°, I 14
- 2θ = 61.32°, I 14
- 2θ = 64.02°, I 12
- 2θ = 75.62°, I 8

# 4
The following is a simulated XRD peak list of Pr7Sm2Y2. It was derived from a DFT-relaxed cell (GGA-PBE, Alexandria), using Cu Kα, 1.54184 Å.

Atomic structure:
Cell: 10.137 9.608 8.412 Å, 90.00 105.52 90.00°
Space group C2/m (No. 12)
Inequivalent atoms, fractional coordinates:
Pr 0.000 0.000 0.000 x2
Pr 0.200 0.297 0.177 x8
Pr 0.219 0.500 0.528 x4
Sm 0.080 0.500 0.823 x4
Y 0.000 0.208 0.500 x4

The 10 most intense peaks (10 to 80 degrees two-theta), most intense first:
- 2θ = 30.17°, I 100
- 2θ = 30.86°, I 54
- 2θ = 30.50°, I 39
- 2θ = 33.16°, I 30
- 2θ = 31.70°, I 23
- 2θ = 35.43°, I 22
- 2θ = 33.30°, I 20
- 2θ = 37.44°, I 19
- 2θ = 28.96°, I 14
- 2θ = 27.60°, I 14

# 5
The following is a simulated XRD peak list of Pr3Sm12Y. It was derived from a DFT-relaxed cell (GGA-PBE, Alexandria), using Cu Kα, 1.54184 Å.

Atomic structure:
Cell: 5.150 5.150 20.593 Å, 90.00 90.00 90.00°
Space group P4/mmm (No. 123)
Inequivalent atoms, fractional coordinates:
Pr 0.000 0.000 0.000 x1
Pr 0.000 0.000 0.251 x2
Sm 0.000 0.500 0.125 x4
Sm 0.000 0.500 0.376 x4
Sm 0.500 0.500 0.000 x1
Sm 0.500 0.500 0.251 x2
Sm 0.500 0.500 0.500 x1
Y 0.000 0.000 0.500 x1

The 6 most intense peaks (10 to 80 degrees two-theta), most intense first:
- 2θ = 30.06°, I 100
- 2θ = 34.84°, I 51
- 2θ = 59.54°, I 43
- 2θ = 50.10°, I 36
- 2θ = 62.48°, I 12
- 2θ = 73.57°, I 6

# 6
The following is a simulated XRD peak list of Pr3Sm6Y. It was derived from a DFT-relaxed cell (GGA-PBE, Alexandria), using Cu Kα, 1.54184 Å.

Atomic structure:
Cell: 10.990 19.321 6.531 Å, 90.00 90.00 90.00°
Space group Cmc2_1 (No. 36)
Inequivalent atoms, fractional coordinates:
Pr 0.000 0.114 0.000 x4
Pr 0.176 0.384 0.611 x8
Sm 0.000 0.225 0.425 x4
Sm 0.000 0.468 0.224 x4
Sm 0.172 0.044 0.524 x8
Sm 0.232 0.210 0.714 x8
Y 0.000 0.313 0.967 x4

The 10 most intense peaks (10 to 80 degrees two-theta), most intense first:
- 2θ = 30.96°, I 100
- 2θ = 33.24°, I 65
- 2θ = 31.25°, I 65
- 2θ = 28.14°, I 53
*/
**Job:**
Set down all of the listing earlier on with every line break kept.
**Done:**
# 1
The following is a simulated XRD peak list of PrSm2YTm2. It was derived from a DFT-relaxed cell (GGA-PBE, Alexandria), using Cu Kα, 1.54184 Å.

Atomic structure:
Cell: 6.976 16.303 3.524 Å, 90.00 90.00 90.00°
Space group Pnnm (No. 58)
Inequivalent atoms, fractional coordinates:
Pr 0.000 0.000 0.000 x2
Sm 0.247 0.338 0.000 x4
Y 0.000 0.500 0.500 x2
Tm 0.248 0.154 0.500 x4

The 10 most intense peaks (10 to 80 degrees two-theta), most intense first:
- 2θ = 30.23°, I 100
- 2θ = 36.67°, I 55
- 2θ = 33.82°, I 45
- 2θ = 27.82°, I 39
- 2θ = 32.96°, I 37
- 2θ = 54.03°, I 29
- 2θ = 61.76°, I 26
- 2θ = 63.39°, I 26
- 2θ = 62.90°, I 22
- 2θ = 39.98°, I 20

# 2
The following is a simulated XRD peak list of PrSmY2Tm2. It was derived from a DFT-relaxed cell (GGA-PBE, Alexandria), using Cu Kα, 1.54184 Å.

Atomic structure:
Cell: 6.529 17.960 3.420 Å, 90.00 90.00 90.00°
Space group Pnnm (No. 58)
Inequivalent atoms, fractional coordinates:
Pr 0.000 0.000 0.000 x2
Sm 0.000 0.500 0.000 x2
Y 0.220 0.189 0.000 x4
Tm 0.218 0.352 0.500 x4

The 10 most intense peaks (10 to 80 degrees two-theta), most intense first:
- 2θ = 29.11°, I 100
- 2θ = 29.85°, I 91
- 2θ = 30.10°, I 88
- 2θ = 33.95°, I 80
- 2θ = 41.09°, I 60
- 2θ = 35.76°, I 56
- 2θ = 31.16°, I 55
- 2θ = 16.79°, I 53
- 2θ = 32.92°, I 35
- 2θ = 26.53°, I 35

# 3
The following is a simulated XRD peak list of Pr2SmY3Tm6. It was derived from a DFT-relaxed cell (GGA-PBE, Alexandria), using Cu Kα, 1.54184 Å.

Atomic structure:
Cell: 6.178 10.691 11.741 Å, 90.00 100.07 90.00°
Space group C2/m (No. 12)
Inequivalent atoms, fractional coordinates:
Pr 0.000 0.167 0.000 x4
Sm 0.000 0.500 0.000 x2
Y 0.000 0.000 0.500 x2
Y 0.000 0.333 0.500 x4
Tm 0.248 0.500 0.747 x4
Tm 0.249 0.166 0.747 x8

The 10 most intense peaks (10 to 80 degrees two-theta), most intense first:
- 2θ = 30.74°, I 100
- 2θ = 35.70°, I 67
- 2θ = 30.94°, I 33
- 2θ = 61.08°, I 28
- 2θ = 51.25°, I 24
- 2θ = 51.51°, I 23
- 2θ = 60.96°, I 14
- 2θ = 61.32°, I 14
- 2θ = 64.02°, I 12
- 2θ = 75.62°, I 8

# 4
The following is a simulated XRD peak list of Pr7Sm2Y2. It was derived from a DFT-relaxed cell (GGA-PBE, Alexandria), using Cu Kα, 1.54184 Å.

Atomic structure:
Cell: 10.137 9.608 8.412 Å, 90.00 105.52 90.00°
Space group C2/m (No. 12)
Inequivalent atoms, fractional coordinates:
Pr 0.000 0.000 0.000 x2
Pr 0.200 0.297 0.177 x8
Pr 0.219 0.500 0.528 x4
Sm 0.080 0.500 0.823 x4
Y 0.000 0.208 0.500 x4

The 10 most intense peaks (10 to 80 degrees two-theta), most intense first:
- 2θ = 30.17°, I 100
- 2θ = 30.86°, I 54
- 2θ = 30.50°, I 39
- 2θ = 33.16°, I 30
- 2θ = 31.70°, I 23
- 2θ = 35.43°, I 22
- 2θ = 33.30°, I 20
- 2θ = 37.44°, I 19
- 2θ = 28.96°, I 14
- 2θ = 27.60°, I 14

# 5
The following is a simulated XRD peak list of Pr3Sm12Y. It was derived from a DFT-relaxed cell (GGA-PBE, Alexandria), using Cu Kα, 1.54184 Å.

Atomic structure:
Cell: 5.150 5.150 20.593 Å, 90.00 90.00 90.00°
Space group P4/mmm (No. 123)
Inequivalent atoms, fractional coordinates:
Pr 0.000 0.000 0.000 x1
Pr 0.000 0.000 0.251 x2
Sm 0.000 0.500 0.125 x4
Sm 0.000 0.500 0.376 x4
Sm 0.500 0.500 0.000 x1
Sm 0.500 0.500 0.251 x2
Sm 0.500 0.500 0.500 x1
Y 0.000 0.000 0.500 x1

The 6 most intense peaks (10 to 80 degrees two-theta), most intense first:
- 2θ = 30.06°, I 100
- 2θ = 34.84°, I 51
- 2θ = 59.54°, I 43
- 2θ = 50.10°, I 36
- 2θ = 62.48°, I 12
- 2θ = 73.57°, I 6

# 6
The following is a simulated XRD peak list of Pr3Sm6Y. It was derived from a DFT-relaxed cell (GGA-PBE, Alexandria), using Cu Kα, 1.54184 Å.

Atomic structure:
Cell: 10.990 19.321 6.531 Å, 90.00 90.00 90.00°
Space group Cmc2_1 (No. 36)
Inequivalent atoms, fractional coordinates:
Pr 0.000 0.114 0.000 x4
Pr 0.176 0.384 0.611 x8
Sm 0.000 0.225 0.425 x4
Sm 0.000 0.468 0.224 x4
Sm 0.172 0.044 0.524 x8
Sm 0.232 0.210 0.714 x8
Y 0.000 0.313 0.967 x4

The 10 most intense peaks (10 to 80 degrees two-theta), most intense first:
- 2θ = 30.96°, I 100
- 2θ = 33.24°, I 65
- 2θ = 31.25°, I 65
- 2θ = 28.14°, I 53